In recent years, the verification problem and proposed solutions have been the focus of a lot of discussion. Verification has become the design bottleneck. The issues surrounding verification range from the battles over simulation and formal approaches to verification, to wars over simulation and verification languages. What engineers really need is powerful, accessible technologies that solve the real design verification problems and integrate well together.
What is clearly required for effective verification is a language-independent, very flexible and open verification integration platform that fully enfolds a wide variety of powerful technologies. Key simulation-based technologies needed for effective verification include bus-functional modeling capability; protocol monitors and checkers; transaction generation and sequencing; signal and transaction-level analysis; assertions and rule checking; functional coverage; signal and transaction-level visualization; debuggers; and HDL simulation. In addition, integration of a wide variety of custom verification modules (instruction-set simulators, intellectual property, custom GUIs and so on) is required.
Some believe that the best approach for solving simulation-based verification problems is to embed a large number of verification technologies into a single language. I believe a more effective method, however, is to provide a number of separate, key technologies that are tightly integrated around a flexible, open platform. That approach allows EDA vendors to supply their own key verification technologies, integrate best-in-class partner technologies and provide custom solutions to meet client requirements. It also allows for the delivery of multiple tools that provide similar functionality, leaving the choice of language or tool to the user.
(Attached: quantum chemistry results)
+++
ORCA calculation (ωB97M-V/def2-TZVPD) on C5H11IOS as an isolated structure at a distorted geometry.

Properties
relative energy (zero: lowest compared OMol25 entry of this formula, charge and spin): 8.48 kcal/mol
HOMO energy (spin up / spin down): -0.293 / -0.345 Eh
spin multiplicity: 3
Kohn-Sham gap (spin up / spin down): 8.77 / 6.53 eV
molecular weight: 246.11 Da
total energy: -26342.4366 eV

Each line ends with the Löwdin charge.
Atoms and positions in Å:
C 2.00014 1.03061 1.55029  -0.0292
C 1.58889 0.45095 -1.00700  -0.0525
C -2.13388 -1.68621 -0.70986  -0.3525
C 0.91494 0.78645 0.39858  -0.4359
C -0.08367 -0.26546 0.46764  -0.2190
O -1.71336 0.87406 -1.32618  -0.5313
S -1.80431 -0.00023 -0.13276  0.6268
I -4.82822 0.04834 0.41333  0.2442
H 1.88274 0.38632 2.39838  0.0619
H 2.88454 0.78616 1.08888  0.0263
H 1.96494 2.07559 1.91689  0.0886
H 1.08118 0.68029 -1.93889  0.0757
H 2.52652 1.00306 -0.91713  0.0653
H 1.81040 -0.62919 -0.90097  0.0858
H -3.23276 -1.83970 -1.08829  0.0232
H -1.93392 -2.40861 0.07348  0.0344
H -1.43902 -1.97380 -1.62051  0.0991
H 0.40249 1.77858 0.28845  0.1327
H 0.11238 -1.09720 1.04568  0.0563

Cartesian forces, eV/Å:
-2.9 0.2 -0.4
1.3 -0.1 1.9
-0.2 -1.4 -2.8
-0.5 2.3 -1.2
-1.9 1.2 0.2
0.1 0.0 0.3
1.0 -0.3 -0.5
-0.4 0.2 0.3
-0.3 -0.4 0.5
2.5 -0.2 -0.7
0.1 -0.6 -0.4
-0.4 0.0 0.4
0.2 -0.1 -0.8
0.2 0.5 -0.7
2.2 0.7 0.9
0.0 0.0 0.3
-1.2 0.9 1.8
0.2 -0.8 -0.1
0.1 -2.0 1.0
+++
This kind of multilanguage, multitool approach is well-known in the software development world. For example, there are many software engineers whose primary language is C++, but who will not hesitate to use Perl, Shell scripts or Make files where each serves best. Sure, it is possible to implement all of those tasks in C++, but if a designer had to write all of his Make files as C++ applications, he would probably shoot himself. Sometimes designers need performance, but at other times, they need the productivity those specialized tools and languages provide.
The same is true in hardware verification. Design engineers working at the block level often need productivity more than performance. Their primary task (especially in their own eyes) is to design silicon. Verification is a necessary evil. Designers greatly appreciate tools that help them get through that task efficiently, and a turnkey application will be the most productive solution. On the other hand, verification engineers working at the system level have different requirements. They are used to working with much more complex simulation environments, and they require very high performance. They often have more training in verification than their designer colleagues, and usually have at least one component of their verification system that requires custom integration (an instruction-set simulator or a C++ IP module, for example).
However, the similarities in the technologies those two types of engineers require are far more remarkable than the differences. There are enormous opportunities for reuse between the different levels of verification, but only if the tools and technologies that are used at each level are integrated so as to make that feasible. A flexible, open verification integration platform combined with a wide variety of verification technology modules is the key to successful, reusable verification.
[Misplaced records of molecules]
'''
95
Properties=species:S:1:pos:R:3:forces:R:3 method="wB97M-V/def2-TZVPD" lumo_ev=-0.15 orbital_gap_ev=7.67 homo_ha=-0.288 energy_ev=-122778.1262 relative_energy_kj_mol=15.9 total_charge=0
Sb 1.624285 -0.747298 -0.760045 -0.15 0.05 0.07
Pd -0.766787 0.589171 1.053215 -0.14 0.01 0.26
Cl -1.513314 -0.289771 5.730382 -0.04 0.03 0.04
Cl -4.210095 -0.760602 4.788845 0.02 -0.01 -0.03
Cl -2.459375 -2.986068 5.393833 0.00 -0.01 0.01
Si 0.135959 1.727047 -0.616214 0.18 -0.12 -0.24
Si 2.107125 2.959186 -1.104838 -0.03 0.01 0.00
Si -1.227290 2.707115 1.813332 -0.01 0.04 -0.03
Si -1.331552 1.930515 -2.471979 0.06 -0.01 0.01
O -2.163384 -2.363957 2.592209 -0.09 0.02 -0.02
O -1.751934 -0.161202 2.846348 -0.05 0.04 0.04
N -1.452670 -1.349793 -0.374379 0.04 0.05 -0.11
C -4.324441 -3.323793 -0.583993 0.01 0.00 0.00
C -3.853702 -2.189378 0.069311 -0.04 0.11 0.03
C -2.518434 -1.726058 -0.163174 0.05 -0.17 -0.02
C -1.156302 0.470804 -3.636060 -0.02 0.02 -0.03
C -6.431409 -3.043340 0.533732 0.00 0.00 0.00
C 1.285780 -2.680664 -1.581563 0.02 0.03 -0.09
C -3.063520 2.667785 2.201124 0.00 -0.01 0.00
C 5.961716 -1.016201 0.046657 0.00 0.00 0.01
C 5.708331 -0.931869 -2.339266 0.00 0.00 0.00
C 0.792280 -2.604008 3.143708 0.04 -0.01 -0.01
C -3.074981 1.952060 -1.781290 -0.01 0.00 0.00
C 2.110511 -3.724948 -1.170774 0.02 0.03 0.02
C -2.523159 -1.352248 4.733609 -0.02 0.03 -0.03
C 1.213260 -1.643905 4.049693 0.04 -0.02 0.00
C -0.236835 2.907593 3.392495 -0.01 -0.01 0.01
C 0.142985 -4.191332 -3.069875 0.01 0.00 0.00
C 0.956457 -5.231577 -2.646019 0.00 0.00 0.00
C -5.621080 -3.747159 -0.347052 -0.01 0.00 0.01
C -0.945390 4.279017 0.790674 0.00 0.02 0.01
C 3.757288 -0.848677 -0.917629 -0.01 0.02 0.01
C 4.582356 -0.938343 0.198801 0.00 0.01 -0.01
C 2.709144 2.361535 -2.786233 0.01 0.03 0.01
C 1.941224 -4.997586 -1.696125 0.00 0.00 0.00
C 1.805475 4.804341 -1.304787 -0.02 0.01 0.03
C -5.952212 -1.913705 1.184314 0.00 0.00 0.00
C 0.900634 -2.372772 1.777844 -0.02 0.01 0.01
C 6.525983 -1.009566 -1.219975 0.00 -0.01 0.00
C 0.307125 -2.918745 -2.538279 0.01 -0.04 0.01
C -1.067303 3.528202 -3.429391 -0.02 0.00 0.00
C 1.742014 -0.441786 3.595284 0.01 -0.02 -0.01
C -2.085328 -1.319007 3.215147 0.08 -0.01 0.01
C 1.436378 -1.176579 1.313701 0.05 -0.06 -0.03
C 3.454349 2.727716 0.183975 0.00 0.00 0.02
C -4.659640 -1.478444 0.954998 -0.01 -0.01 0.02
C 1.849672 -0.206922 2.234049 0.01 0.04 0.03
C 4.332127 -0.851291 -2.186661 0.00 -0.02 -0.01
H -0.620645 -4.367528 -3.817044 0.00 0.00 0.00
H -3.806806 1.960679 -2.593844 0.00 0.00 0.00
H -0.077167 3.591780 -3.882383 0.01 0.00 0.00
H 4.174823 3.546293 0.102279 0.02 -0.02 -0.02
H 0.339989 -3.522245 3.493690 0.00 0.00 0.00
H -1.583319 5.069422 1.198285 0.01 0.01 0.01
H 0.529522 -3.115017 1.082216 0.01 0.00 0.00
H 0.831851 2.993729 3.180607 0.00 0.00 0.00
H -0.334979 -2.117367 -2.870998 -0.03 0.03 -0.01
H -3.675267 -3.865549 -1.258893 0.00 0.00 0.00
H 3.696284 2.785386 -2.992155 0.00 0.00 -0.01
H 2.581044 -5.805354 -1.364810 0.00 0.00 0.00
'''
Sean Dart is the vice president of engineering at Forte Design Systems Inc. (Santa Clara, Calif.). Dart previously served as chief technical officer of Speed Electronic SA. He has also held various software-engineering positions at AT&T/Olivetti, Time Office Computers and Standard Telephones and Cables.